Request
What is needed: set down only the last part of the listing below, starting with the line that has "4.912".
Input
H2Pd4Au, optimized geometry, DFT PBE; final energy = -4.462 eV/atom; space-group type = No. 1; excess energy over the best structure of this formula in the dataset = 0.08 kcal/mol of atoms; crystal system = triclinic
1.0
5.007 0.000 0.000
-0.910 4.960 0.000
-1.541 -2.790 6.971
H Pd Au
4 8 2
Cartesian
0.000 0.000 0.000
-1.724 0.540 5.787
0.715 2.678 0.767
1.264 0.764 5.082
-1.795 2.292 5.298
0.739 0.952 1.282
-0.038 -0.027 6.052
0.683 1.883 3.918
1.547 3.705 1.939
2.420 -0.477 4.601
3.216 1.412 2.592
3.963 3.197 0.537
-0.098 -0.862 3.262
1.575 -2.237 6.777

HPd2Au, optimized geometry, DFT PBE; final energy = -4.322 eV/atom; space-group type = No. 166; excess energy over the best structure of this formula in the dataset = 0.28 kcal/mol of atoms; crystal system = trigonal
1.0
1.446 0.835 7.044
-1.446 0.835 7.044
0.000 -1.669 7.044
H Pd Au
1 2 1
Cartesian
0.000 0.000 0.000
0.000 0.000 5.865
0.000 0.000 15.268
0.000 0.000 10.567

H4Pd4Au3, optimized geometry, DFT PBE; final energy = -3.988 eV/atom; space-group type = No. 71; crystal system = orthorhombic
1.0
-1.478 2.213 9.963
1.478 -2.213 9.963
1.478 2.213 -9.963
H Pd Au
4 4 3
Cartesian
0.000 0.000 2.289
1.478 0.000 5.105
0.000 2.213 4.858
0.000 0.000 17.636
1.478 0.000 1.335
0.000 0.000 4.158
0.000 0.000 15.768
0.000 2.213 8.628
0.000 0.000 7.055
0.000 2.213 0.000
0.000 0.000 12.871

HPd3Au, optimized geometry, DFT PBE; final energy = -4.507 eV/atom; space-group type = No. 14; excess energy over the best structure of this formula in the dataset = 0.51 kcal/mol of atoms; crystal system = monoclinic
1.0
7.574 0.000 0.000
0.000 4.767 0.000
-6.492 0.000 7.516
H Pd Au
4 12 4
Cartesian
0.888 0.594 0.180
-2.359 1.790 3.938
3.441 2.977 3.578
0.195 4.174 7.336
0.824 3.530 0.142
-2.422 3.621 3.900
-1.296 1.170 2.629
-4.542 1.214 6.387
-1.861 1.169 5.541
1.385 1.214 1.783
-0.303 3.553 5.733
2.943 3.598 1.975
5.624 3.553 1.130
2.378 3.597 4.888
3.504 1.147 3.616
0.258 1.237 7.375
0.258 3.576 2.945
-2.989 3.575 6.703
4.071 1.192 0.813
0.824 1.191 4.572

HPd2Au, optimized geometry, DFT PBE; final energy = -4.334 eV/atom; space-group type = No. 1; excess energy over the best structure of this formula in the dataset = 0.00 kcal/mol of atoms; crystal system = triclinic
1.0
2.888 0.000 0.000
1.435 2.512 0.000
0.034 0.024 7.034
H Pd Au
1 2 1
Cartesian
0.000 0.000 0.000
1.552 0.699 5.854
2.982 1.528 1.170
1.540 2.370 3.512

HPd4Au, optimized geometry, DFT PBE; final energy = -4.571 eV/atom; space-group type = No. 2; excess energy over the best structure of this formula in the dataset = 0.89 kcal/mol of atoms; crystal system = triclinic
1.0
4.856 0.000 0.000
-0.003 4.918 0.000
-0.693 -2.449 6.999
H Pd Au
2 8 2
Cartesian
0.000 0.000 0.000
2.426 2.459 0.000
0.995 1.949 0.743
0.924 -0.485 2.085
0.810 -0.479 4.912
0.737 1.957 6.257
3.423 0.511 0.742
3.349 2.948 2.087
3.236 2.954 4.913
3.165 0.519 6.256
0.867 2.015 3.500
3.293 0.454 3.498

H3Pd8Au, optimized geometry, DFT PBE; final energy = -4.641 eV/atom; space-group type = No. 1; crystal system = triclinic
1.0
4.969 0.000 0.000
-2.481 4.306 0.000
-0.005 -0.011 7.041
H Pd Au
3 8 1
Cartesian
0.000 0.000 0.000
-0.021 2.849 5.259
2.484 1.426 3.486
4.967 -0.003 1.795
-1.646 2.909 4.101
0.781 1.417 4.101
1.697 0.002 6.426
1.640 2.817 6.426
2.484 1.433 1.691
0.860 4.265 4.102
4.105 1.460 6.426
0.000 2.869 1.743

HPd8Au2, optimized geometry, DFT PBE; final energy = -4.641 eV/atom; space-group type = No. 8; crystal system = monoclinic
1.0
2.717 -6.445 0.000
2.717 6.445 0.000
-2.638 0.000 4.706
H Pd Au
1 8 2
Cartesian
0.000 0.000 0.000
0.188 1.305 1.456
0.926 3.758 2.613
-1.072 0.000 3.759
0.188 -1.305 1.456
1.646 1.304 3.741
2.945 0.000 1.429
0.926 -3.758 2.613
1.646 -1.304 3.741
2.248 2.609 0.261
2.248 -2.609 0.261

H2PdAu, optimized geometry, DFT PBE; final energy = -3.305 eV/atom; space-group type = No. 225; excess energy over the best structure of this formula in the dataset = 10.58 kcal/mol of atoms; crystal system = cubic
1.0
0.000 2.734 2.734
Completed
0.810 -0.479 4.912
0.737 1.957 6.257
3.423 0.511 0.742
3.349 2.948 2.087
3.236 2.954 4.913
3.165 0.519 6.256
0.867 2.015 3.500
3.293 0.454 3.498

H3Pd8Au, optimized geometry, DFT PBE; final energy = -4.641 eV/atom; space-group type = No. 1; crystal system = triclinic
1.0
4.969 0.000 0.000
-2.481 4.306 0.000
-0.005 -0.011 7.041
H Pd Au
3 8 1
Cartesian
0.000 0.000 0.000
-0.021 2.849 5.259
2.484 1.426 3.486
4.967 -0.003 1.795
-1.646 2.909 4.101
0.781 1.417 4.101
1.697 0.002 6.426
1.640 2.817 6.426
2.484 1.433 1.691
0.860 4.265 4.102
4.105 1.460 6.426
0.000 2.869 1.743

HPd8Au2, optimized geometry, DFT PBE; final energy = -4.641 eV/atom; space-group type = No. 8; crystal system = monoclinic
1.0
2.717 -6.445 0.000
2.717 6.445 0.000
-2.638 0.000 4.706
H Pd Au
1 8 2
Cartesian
0.000 0.000 0.000
0.188 1.305 1.456
0.926 3.758 2.613
-1.072 0.000 3.759
0.188 -1.305 1.456
1.646 1.304 3.741
2.945 0.000 1.429
0.926 -3.758 2.613
1.646 -1.304 3.741
2.248 2.609 0.261
2.248 -2.609 0.261

H2PdAu, optimized geometry, DFT PBE; final energy = -3.305 eV/atom; space-group type = No. 225; excess energy over the best structure of this formula in the dataset = 10.58 kcal/mol of atoms; crystal system = cubic
1.0
0.000 2.734 2.734